Thursday, June 6, 2013

Someone pasted crystal structures at this point
1.
Diffraction record for BeAlOs. The powder X-ray diffraction pattern is theoretical, not measured: it uses a structure optimized by DFT (PBE) and Cu Kα (λ = 1.5418 Å).
Lines closer than 0.1° are merged.

Largest 10 diffraction maxima, low angle first, 10° ≤ 2θ ≤ 90°:
2θ/deg  intensity
14.7  30
26.8  100
29.6  42
30.1  48
37.8  48
43.5  98
45.4  24
48.0  27
55.5  18
66.4  23

Cell and atoms:
abc: 6.2325 6.2325 3.9942
angles: 90.00 90.00 151.55
Element x y z (fractional)
Be 0.2475 0.7525 0.7500
Be 0.7525 0.2475 0.2500
Al 0.4206 0.5794 0.2500
Al 0.5794 0.4206 0.7500
Os 0.1024 0.8976 0.2500
Os 0.8976 0.1024 0.7500



2.
Diffraction record for DyHo2Bi4. The powder X-ray diffraction pattern is theoretical, not measured: it uses a structure optimized by DFT (PBE) and Cu Kα (λ = 1.5418 Å).
Lines closer than 0.1° are merged.

Largest 10 diffraction maxima, low angle first, 10° ≤ 2θ ≤ 90°:
2θ/deg  intensity
26.2  19
30.0  44
30.6  22
31.0  100
34.0  45
38.3  20
40.2  30
41.6  12
53.5  11
62.1  14

Cell and atoms:
abc: 6.0731 6.0731 17.0388
angles: 90.00 90.00 136.65
Element x y z (fractional)
Dy 0.0561 0.9439 0.7500
Dy 0.9439 0.0561 0.2500
Ho 0.3392 0.6608 0.5742
Ho 0.3392 0.6608 0.9258
Ho 0.6608 0.3392 0.0742
Ho 0.6608 0.3392 0.4258
Bi 0.0000 0.0000 0.0000
Bi 0.0000 0.0000 0.5000
Bi 0.3479 0.6521 0.7500
Bi 0.3520 0.6480 0.1221
Bi 0.3520 0.6480 0.3779
Bi 0.6480 0.3520 0.6221
Bi 0.6480 0.3520 0.8779
Bi 0.6521 0.3479 0.2500



3.
Diffraction record for K3Tb2NpSe6. The powder X-ray diffraction pattern is theoretical, not measured: it uses a structure optimized by DFT (PBE) and Cu Kα (λ = 1.5418 Å).
Lines closer than 0.1° are merged.

Largest 10 diffraction maxima, low angle first, 10° ≤ 2θ ≤ 90°:
2θ/deg  intensity
11.5  65
24.5  17
28.8  100
36.6  21
39.7  35
42.5  36
44.2  16
50.1  12
52.2  12
69.4  16

Cell and atoms:
abc: 7.3662 7.3662 8.0623
angles: 98.74 98.74 119.92
Element x y z (fractional)
K 0.0000 0.0000 0.0000
K 0.3331 0.6669 0.0000
K 0.6669 0.3331 0.0000
Tb 0.1660 0.8340 0.5000
Tb 0.8340 0.1660 0.5000
Np 0.5000 0.5000 0.5000
Se 0.0948 0.4309 0.2938
Se 0.2325 0.2325 0.7068
Se 0.4309 0.0948 0.2938
Se 0.5691 0.9052 0.7062
Se 0.7675 0.7675 0.2932
Se 0.9052 0.5691 0.7062



4.
Diffraction record for MnCu2Rh. The powder X-ray diffraction pattern is theoretical, not measured: it uses a structure optimized by DFT (PBE) and Cu Kα (λ = 1.5418 Å).
Lines closer than 0.1° are merged.

Largest 10 diffraction maxima, low angle first, 10° ≤ 2θ ≤ 90°:
2θ/deg  intensity
24.4  3
26.5  6
33.5  3
41.9  100
48.1  33
50.0  15
70.3  10
71.9  18
85.3  23
88.3  10

Cell and atoms:
abc: 4.5242 4.5242 4.5242
angles: 130.53 130.53 72.57
Element x y z (fractional)
Mn 0.0000 0.0000 0.0000
Cu 0.5000 0.5000 0.0000
Cu 0.7500 0.2500 0.5000
Rh 0.2500 0.7500 0.5000



Number 4 is which compound?
MnCu2Rh



Number 4 is which compound?
MnCu2Rh

Big Changes

The time has come for our fourth year of podiatry school.  We have heard about the horror from our predecessors and we put it out of our minds for as long as possible.  To fill you in a bit, Rich will be traveling around the US interviewing at different hospitals for 6 whole months without us!  Each month he will be in a different place.  Above are all of the places he is going, and the two little ladies way across the country in Utah are Henley and myself. So currently, we are here living with my parents while the hubby is in Michigan working his fanny off trying to impress those in charge.
Moving rules in our house: No shoes, no shirt, no problem. (Most anyone in our apt complex would have fit the bill).  The poor thing endured two full weeks of me packing like a champ.  Couldn't have asked for a better baby.
My parents were awesome and drove out to Iowa to help us move most of our stuff to a storage unit and to drive back to the west with us.  Biggest blessing!  They were so helpful and I can't imagine doing that drive with just Henley and myself.  Side note: During this move I have realized that our "stuff"...yea, mostly junk.  Not sure why we care to store it.  Can't wait for the day when we can buy furniture that matches.
 The Graff's were awesome and helped us out all day.  Best friends evah!
 The U-Haul place was super super sketchy.  The reviews online said to take a friend with you.  Um, yes.
 Last day in our apartment.  Such a bitter sweet time.  A lot in our lives happened and changed in that apartment.  It was our first long term place we lived as a married couple, first time I moved away from Utah for an extended period of time (best thing), it was the place we brought Henley home to...we made a lot of great friends and memories in Iowa.  We will miss that place dearly.
On a more up-and-up note, Henley is 8.5 mths old!!  Time is flying right before our eyes.  Quick rundown on her - army crawling and getting up on hands and knees to rock back and forth, no teeth, loves eating everything we are eating, very noisy eater, loves being around other people, music is her favorite thing, her favorite toy is cords and straps on bags, hates getting her nose wiped, cute as a button.

I promise I wasn't stepping on her here.  She loves it when I put my foot on her tummy while I shake it so she can hold on.

1 comment:

  1. Oh man, you have one cute baby! And good luck on the next 6 months. I kind of have a pit in my stomach just thinking about it. But you can do it, and it won't seem that bad when it's done!
